# Excerpt
/*
# Mn2CdFeO4
Simulated PXRD pattern, λ = 1.5418 Å (Cu Kα). Input: a DFT-relaxed cell (GGA+U, Alexandria).

Principal peaks in the range 10° ≤ 2θ ≤ 90°, low angle first:
16.82 deg, I 20
34.00 deg, I 62
34.09 deg, I 61
39.26 deg, I 52
39.65 deg, I 100
56.91 deg, I 31
57.14 deg, I 31
57.32 deg, I 30
67.84 deg, I 8
68.27 deg, I 12
68.42 deg, I 16
71.69 deg, I 14

a b c (Å): 6.428 6.431 6.448
angles (deg): 119.63 119.89 90.07
Fractional positions:
Mn (0.000, 0.000, 0.000)
Mn (0.000, 0.000, 0.500)
Mn (0.000, 0.500, 0.000)
Mn (0.500, 0.000, 0.500)
Cd (0.500, 0.500, 0.000)
Cd (0.500, 0.500, 0.500)
Fe (0.000, 0.500, 0.500)
Fe (0.500, 0.000, 0.000)
O (0.225, 0.739, 0.491)
O (0.240, 0.232, 0.486)
O (0.242, 0.756, 0.007)
O (0.251, 0.221, 0.987)
O (0.749, 0.779, 0.013)
O (0.758, 0.244, 0.993)
O (0.760, 0.768, 0.514)
O (0.775, 0.261, 0.509)

----------

The following is a theoretical XRD peak list of SmPu2S5. It was derived from a PBE-relaxed structure, using Cu Kα (λ = 1.5418 Å).

Peak list (10 most intense, 10 to 90 degrees two-theta, low angle first)
- 11.45°, I 16
- 20.70°, I 59
- 26.11°, I 100
- 33.32°, I 33
- 34.83°, I 26
- 39.55°, I 23
- 39.75°, I 66
- 40.87°, I 19
- 48.97°, I 20
- 53.71°, I 17

Crystal structure
```
data_SmPu2S5
_chemical_formula_sum 'Sm4 Pu8 S20'
_cell_length_a 5.379
_cell_length_b 8.581
_cell_length_c 15.454
_cell_angle_alpha 90.00
_cell_angle_beta 90.00
_cell_angle_gamma 90.00
_space_group_name_H-M_alt 'F m m m'
_space_group_IT_number 69
_space_group_name_Hall '-F 2 2'
loop_
_atom_site_label
_atom_site_fract_x
_atom_site_fract_y
_atom_site_fract_z
Sm1 0.000 0.000 0.000
Pu1 0.000 0.000 0.322
S1 0.000 0.000 0.500
S2 0.000 0.164 0.160
```

The following is a theoretical XRD peak list of Sm3PuS4. It was derived from a PBE-relaxed structure, using Cu Kα (λ = 1.5418 Å).

Peak list (10 most intense, 10 to 90 degrees two-theta, low angle first)
- 15.67°, I 5
- 27.32°, I 86
- 31.65°, I 100
- 45.37°, I 73
- 53.77°, I 43
- 56.37°, I 25
- 66.11°, I 12
- 72.93°, I 18
- 75.15°, I 33
- 83.82°, I 25

Crystal structure
```
data_Sm3PuS4
_chemical_formula_sum 'Sm3 Pu1 S4'
_cell_length_a 5.654
_cell_length_b 5.654
_cell_length_c 5.654
_cell_angle_alpha 90.00
_cell_angle_beta 90.00
_cell_angle_gamma 90.00
_space_group_name_H-M_alt 'P m -3 m'
_space_group_IT_number 221
_space_group_name_Hall '-P 4 2 3'
loop_
_atom_site_label
_atom_site_fract_x
_atom_site_fract_y
_atom_site_fract_z
Sm1 0.000 0.000 0.500
Pu1 0.500 0.500 0.500
S1 0.000 0.000 0.000
S2 0.000 0.500 0.500
```

The following is a theoretical XRD peak list of Sm3PuS4. It was derived from a PBE-relaxed structure, using Cu Kα (λ = 1.5418 Å).

Peak list (10 most intense, 10 to 90 degrees two-theta, low angle first)
- 27.33°, I 86
- 31.66°, I 100
- 45.38°, I 73
- 53.71°, I 14
- 53.83°, I 29
- 56.39°, I 25
- 72.92°, I 12
- 75.06°, I 11
- 75.23°, I 22
- 83.90°, I 17

Crystal structure
```
data_Sm3PuS4
_chemical_formula_sum 'Sm6 Pu2 S8'
_cell_length_a 5.647
_cell_length_b 5.647
_cell_length_c 11.326
_cell_angle_alpha 90.00
_cell_angle_beta 90.00
_cell_angle_gamma 90.00
_space_group_name_H-M_alt 'I 4/m m m'
_space_group_IT_number 139
_space_group_name_Hall '-I 4 2'
loop_
_atom_site_label
_atom_site_fract_x
_atom_site_fract_y
_atom_site_fract_z
Sm1 0.000 0.000 0.000
Sm2 0.000 0.500 0.250
Pu1 0.000 0.000 0.500
S1 0.000 0.000 0.252
S2 0.000 0.500 0.000
```

The following is a theoretical XRD peak list of SmPu4S6. It was derived from a PBE-relaxed structure, using Cu Kα (λ = 1.5418 Å).

Peak list (10 most intense, 10 to 90 degrees two-theta, low angle first)
- 25.39°, I 30
- 26.11°, I 100
- 27.29°, I 79
- 29.80°, I 27
- 31.05°, I 30
- 32.02°, I 56
- 33.59°, I 47
- 43.51°, I 32
- 45.49°, I 26
- 54.06°, I 29

Crystal structure
```
data_SmPu4S6
_chemical_formula_sum 'Sm4 Pu16 S24'
_cell_length_a 3.910
_cell_length_b 13.080
_cell_length_c 20.006
_cell_angle_alpha 90.00
_cell_angle_beta 90.00
_cell_angle_gamma 90.00
_space_group_name_H-M_alt 'C m c m'
_space_group_IT_number 63
*/

# Brief
It remains to duplicate the whole of the contents earlier on with every line break kept.

# Here it is
# Mn2CdFeO4
Simulated PXRD pattern, λ = 1.5418 Å (Cu Kα). Input: a DFT-relaxed cell (GGA+U, Alexandria).

Principal peaks in the range 10° ≤ 2θ ≤ 90°, low angle first:
16.82 deg, I 20
34.00 deg, I 62
34.09 deg, I 61
39.26 deg, I 52
39.65 deg, I 100
56.91 deg, I 31
57.14 deg, I 31
57.32 deg, I 30
67.84 deg, I 8
68.27 deg, I 12
68.42 deg, I 16
71.69 deg, I 14

a b c (Å): 6.428 6.431 6.448
angles (deg): 119.63 119.89 90.07
Fractional positions:
Mn (0.000, 0.000, 0.000)
Mn (0.000, 0.000, 0.500)
Mn (0.000, 0.500, 0.000)
Mn (0.500, 0.000, 0.500)
Cd (0.500, 0.500, 0.000)
Cd (0.500, 0.500, 0.500)
Fe (0.000, 0.500, 0.500)
Fe (0.500, 0.000, 0.000)
O (0.225, 0.739, 0.491)
O (0.240, 0.232, 0.486)
O (0.242, 0.756, 0.007)
O (0.251, 0.221, 0.987)
O (0.749, 0.779, 0.013)
O (0.758, 0.244, 0.993)
O (0.760, 0.768, 0.514)
O (0.775, 0.261, 0.509)

----------

The following is a theoretical XRD peak list of SmPu2S5. It was derived from a PBE-relaxed structure, using Cu Kα (λ = 1.5418 Å).

Peak list (10 most intense, 10 to 90 degrees two-theta, low angle first)
- 11.45°, I 16
- 20.70°, I 59
- 26.11°, I 100
- 33.32°, I 33
- 34.83°, I 26
- 39.55°, I 23
- 39.75°, I 66
- 40.87°, I 19
- 48.97°, I 20
- 53.71°, I 17

Crystal structure
```
data_SmPu2S5
_chemical_formula_sum 'Sm4 Pu8 S20'
_cell_length_a 5.379
_cell_length_b 8.581
_cell_length_c 15.454
_cell_angle_alpha 90.00
_cell_angle_beta 90.00
_cell_angle_gamma 90.00
_space_group_name_H-M_alt 'F m m m'
_space_group_IT_number 69
_space_group_name_Hall '-F 2 2'
loop_
_atom_site_label
_atom_site_fract_x
_atom_site_fract_y
_atom_site_fract_z
Sm1 0.000 0.000 0.000
Pu1 0.000 0.000 0.322
S1 0.000 0.000 0.500
S2 0.000 0.164 0.160
```

The following is a theoretical XRD peak list of Sm3PuS4. It was derived from a PBE-relaxed structure, using Cu Kα (λ = 1.5418 Å).

Peak list (10 most intense, 10 to 90 degrees two-theta, low angle first)
- 15.67°, I 5
- 27.32°, I 86
- 31.65°, I 100
- 45.37°, I 73
- 53.77°, I 43
- 56.37°, I 25
- 66.11°, I 12
- 72.93°, I 18
- 75.15°, I 33
- 83.82°, I 25

Crystal structure
```
data_Sm3PuS4
_chemical_formula_sum 'Sm3 Pu1 S4'
_cell_length_a 5.654
_cell_length_b 5.654
_cell_length_c 5.654
_cell_angle_alpha 90.00
_cell_angle_beta 90.00
_cell_angle_gamma 90.00
_space_group_name_H-M_alt 'P m -3 m'
_space_group_IT_number 221
_space_group_name_Hall '-P 4 2 3'
loop_
_atom_site_label
_atom_site_fract_x
_atom_site_fract_y
_atom_site_fract_z
Sm1 0.000 0.000 0.500
Pu1 0.500 0.500 0.500
S1 0.000 0.000 0.000
S2 0.000 0.500 0.500
```

The following is a theoretical XRD peak list of Sm3PuS4. It was derived from a PBE-relaxed structure, using Cu Kα (λ = 1.5418 Å).

Peak list (10 most intense, 10 to 90 degrees two-theta, low angle first)
- 27.33°, I 86
- 31.66°, I 100
- 45.38°, I 73
- 53.71°, I 14
- 53.83°, I 29
- 56.39°, I 25
- 72.92°, I 12
- 75.06°, I 11
- 75.23°, I 22
- 83.90°, I 17

Crystal structure
```
data_Sm3PuS4
_chemical_formula_sum 'Sm6 Pu2 S8'
_cell_length_a 5.647
_cell_length_b 5.647
_cell_length_c 11.326
_cell_angle_alpha 90.00
_cell_angle_beta 90.00
_cell_angle_gamma 90.00
_space_group_name_H-M_alt 'I 4/m m m'
_space_group_IT_number 139
_space_group_name_Hall '-I 4 2'
loop_
_atom_site_label
_atom_site_fract_x
_atom_site_fract_y
_atom_site_fract_z
Sm1 0.000 0.000 0.000
Sm2 0.000 0.500 0.250
Pu1 0.000 0.000 0.500
S1 0.000 0.000 0.252
S2 0.000 0.500 0.000
```

The following is a theoretical XRD peak list of SmPu4S6. It was derived from a PBE-relaxed structure, using Cu Kα (λ = 1.5418 Å).

Peak list (10 most intense, 10 to 90 degrees two-theta, low angle first)
- 25.39°, I 30
- 26.11°, I 100
- 27.29°, I 79
- 29.80°, I 27
- 31.05°, I 30
- 32.02°, I 56
- 33.59°, I 47
- 43.51°, I 32
- 45.49°, I 26
- 54.06°, I 29

Crystal structure
```
data_SmPu4S6
_chemical_formula_sum 'Sm4 Pu16 S24'
_cell_length_a 3.910
_cell_length_b 13.080
_cell_length_c 20.006
_cell_angle_alpha 90.00
_cell_angle_beta 90.00
_cell_angle_gamma 90.00
_space_group_name_H-M_alt 'C m c m'
_space_group_IT_number 63